Your job: find "4.2715 14.7686" and "Th7 0.8415" in the block below, and duplicate these two lines and those between.
/*
The following is a simulated XRD peak list of Th3Ga2. It was derived from a crystal structure in the Materials Project, relaxed with GGA-PBE, using Cu Kα.
Lines closer than 0.1° are merged.

abc: 8.0170 8.0170 4.2183
angles: 90.00 90.00 90.00
Atoms (fractional coordinates):
Th1 0.0000 0.0000 0.0000
Th2 0.1759 0.3241 0.5000
Th3 0.3241 0.8241 0.5000
Th4 0.5000 0.5000 0.0000
Th5 0.6759 0.1759 0.5000
Th6 0.8241 0.6759 0.5000
Ga1 0.1185 0.6185 0.0000
Ga2 0.3815 0.1185 0.0000
Ga3 0.6185 0.8815 0.0000
Ga4 0.8815 0.3815 0.0000

Most intense lines, 10 to 80 degrees two-theta, sorted by position:
- hkl 2 1 0, 2θ = 24.83°, I 27
- hkl 2 0 1, 2θ = 30.77°, I 84
- hkl 2 1 1, 2θ = 32.78°, I 100
- hkl 3 1 0, 2θ = 35.41°, I 55
- hkl 3 3 1, 2θ = 53.11°, I 27
- hkl 3 1 2, 2θ = 56.78°, I 29

***

The following is a simulated XRD peak list of ThGa3. It was derived from a crystal structure in the Materials Project, relaxed with GGA-PBE, using Cu Kα.
Lines closer than 0.1° are merged.

abc: 6.4708 6.4708 4.6217
angles: 90.00 90.00 120.00
Atoms (fractional coordinates):
Th1 0.3333 0.6667 0.2500
Th2 0.6667 0.3333 0.7500
Ga1 0.1433 0.2866 0.7500
Ga2 0.1433 0.8567 0.7500
Ga3 0.2866 0.1433 0.2500
Ga4 0.7134 0.8567 0.7500
Ga5 0.8567 0.1433 0.2500
Ga6 0.8567 0.7134 0.2500

Most intense lines, 10 to 80 degrees two-theta, sorted by position:
- hkl 1 0 1, 2θ = 24.97°, I 46
- hkl 1 1 0, 2θ = 27.57°, I 22
- hkl 2 0 0, 2θ = 31.94°, I 25
- hkl 2 0 1, 2θ = 37.54°, I 100
- hkl 0 0 2, 2θ = 38.98°, I 22
- hkl 2 2 2, 2θ = 71.14°, I 17

***

The following is a simulated XRD peak list of ThGa2. It was derived from a crystal structure in the Materials Project, relaxed with GGA-PBE, using Cu Kα.
Lines closer than 0.1° are merged.

abc: 4.2715 4.2715 14.7686
angles: 90.00 90.00 90.00
Atoms (fractional coordinates):
Th1 0.0000 0.2500 0.3750
Th2 0.0000 0.7500 0.6250
Th3 0.5000 0.2500 0.1250
Th4 0.5000 0.7500 0.8750
Ga1 0.0000 0.2500 0.7918
Ga2 0.0000 0.2500 0.9582
Ga3 0.0000 0.7500 0.0418
Ga4 0.0000 0.7500 0.2082
Ga5 0.5000 0.2500 0.5418
Ga6 0.5000 0.2500 0.7082
Ga7 0.5000 0.7500 0.2918
Ga8 0.5000 0.7500 0.4582

Most intense lines, 10 to 80 degrees two-theta, sorted by position:
- hkl 1 0 3, 2θ = 27.65°, I 41
- hkl 1 1 2, 2θ = 32.01°, I 100
- hkl 1 0 5, 2θ = 37.00°, I 47
- hkl 2 0 0, 2θ = 42.32°, I 37
- hkl 1 0 7, 2θ = 48.09°, I 26
- hkl 2 1 5, 2θ = 57.45°, I 27

***

The following is a simulated XRD peak list of Th2Ga. It was derived from a crystal structure in the Materials Project, relaxed with GGA-PBE, using Cu Kα.
Lines closer than 0.1° are merged.

abc: 7.5264 7.5264 5.8917
angles: 90.00 90.00 90.00
Atoms (fractional coordinates):
Th1 0.1585 0.3415 0.0000
Th2 0.1585 0.6585 0.5000
Th3 0.3415 0.1585 0.5000
Th4 0.3415 0.8415 0.0000
Th5 0.6585 0.1585 0.0000
Th6 0.6585 0.8415 0.5000
Th7 0.8415 0.3415 0.5000
Th8 0.8415 0.6585 0.0000
Ga1 0.0000 0.0000 0.2500
Ga2 0.0000 0.0000 0.7500
Ga3 0.5000 0.5000 0.2500
Ga4 0.5000 0.5000 0.7500

Most intense lines, 10 to 80 degrees two-theta, sorted by position:
- hkl 0 0 2, 2θ = 30.34°, I 15
- hkl 2 1 1, 2θ = 30.59°, I 100
- hkl 3 1 0, 2θ = 37.80°, I 24
- hkl 4 1 1, 2θ = 52.48°, I 15
- hkl 2 1 3, 2θ = 54.06°, I 21
- hkl 3 3 2, 2θ = 60.97°, I 16

***

The following is a simulated XRD peak list of ThGa2. It was derived from a crystal structure in the Materials Project, relaxed with GGA-PBE, using Cu Kα.
Lines closer than 0.1° are merged.

abc: 4.2812 4.2812 4.2443
angles: 90.00 90.00 120.00
Atoms (fractional coordinates):
Th1 0.0000 0.0000 0.0000
Ga1 0.3333 0.6667 0.5000
Ga2 0.6667 0.3333 0.5000

Most intense lines, 10 to 80 degrees two-theta, sorted by position:
- hkl 1 0 0, 2θ = 24.00°, I 26
- hkl 1 0 1, 2θ = 32.05°, I 100
- hkl 1 1 0, 2θ = 42.22°, I 37
- hkl 2 0 1, 2θ = 53.97°, I 23
- hkl 1 1 2, 2θ = 61.53°, I 24
- hkl 2 1 1, 2θ = 70.81°, I 21

=====

Na3Ag: simulated X-ray diffraction stick pattern (Cu Ka), based on a cell relaxed with PBE.
Neutral-atom scattering factors, no anomalous dispersion.
*/
abc: 4.2715 4.2715 14.7686
angles: 90.00 90.00 90.00
Atoms (fractional coordinates):
Th1 0.0000 0.2500 0.3750
Th2 0.0000 0.7500 0.6250
Th3 0.5000 0.2500 0.1250
Th4 0.5000 0.7500 0.8750
Ga1 0.0000 0.2500 0.7918
Ga2 0.0000 0.2500 0.9582
Ga3 0.0000 0.7500 0.0418
Ga4 0.0000 0.7500 0.2082
Ga5 0.5000 0.2500 0.5418
Ga6 0.5000 0.2500 0.7082
Ga7 0.5000 0.7500 0.2918
Ga8 0.5000 0.7500 0.4582

Most intense lines, 10 to 80 degrees two-theta, sorted by position:
- hkl 1 0 3, 2θ = 27.65°, I 41
- hkl 1 1 2, 2θ = 32.01°, I 100
- hkl 1 0 5, 2θ = 37.00°, I 47
- hkl 2 0 0, 2θ = 42.32°, I 37
- hkl 1 0 7, 2θ = 48.09°, I 26
- hkl 2 1 5, 2θ = 57.45°, I 27

***

The following is a simulated XRD peak list of Th2Ga. It was derived from a crystal structure in the Materials Project, relaxed with GGA-PBE, using Cu Kα.
Lines closer than 0.1° are merged.

abc: 7.5264 7.5264 5.8917
angles: 90.00 90.00 90.00
Atoms (fractional coordinates):
Th1 0.1585 0.3415 0.0000
Th2 0.1585 0.6585 0.5000
Th3 0.3415 0.1585 0.5000
Th4 0.3415 0.8415 0.0000
Th5 0.6585 0.1585 0.0000
Th6 0.6585 0.8415 0.5000
Th7 0.8415 0.3415 0.5000